Exercise =
Find the line underneath that holds "-2.6200 -8.4754", then duplicate that line and all lines after it there.

Contents =
[1]
This record from the Materials Project describes a geometry-optimized Zr2Bi2O7 structure. The functional is PBE-GGA.

As for the electronic total energy: -7.7461 eV per atom. The total energy after the MP2020 corrections is -360.06 eV for the cell shown. As for the formation enthalpy at 0 K: -2773 meV per atom.

extended XYZ file:
```
44
Lattice="-0.4750 -1.2098 -5.5674 3.6367 -7.1280 1.2386 -11.3839 -7.6698 2.6378" Properties=species:S:1:pos:R:3 pbc="T T T"
Zr -0.3636 -9.3497 0.5257
Zr 1.8706 -8.7289 -2.7506
Zr -5.9282 -10.3129 -1.7483
Zr -8.2458 -10.8577 1.5181
Zr 0.0113 -5.1815 -3.3552
Zr -2.3088 -5.7325 -0.1170
Zr -10.1064 -7.3135 0.8991
Zr -7.8697 -6.6864 -2.3481
Bi -3.3691 -10.8066 0.8925
Bi -7.9717 -13.4220 -0.9162
Bi 0.9985 -6.3718 -0.0988
Bi -2.6200 -8.4754 -2.2302
Bi -5.5847 -7.4877 0.7435
Bi -9.2094 -9.6071 -1.4603
Bi -0.2682 -2.6308 -0.9829
Bi -4.8976 -5.3145 -3.1060
O -1.6129 -10.4100 -0.8030
O 1.3707 -8.9894 -0.7569
O -5.1938 -12.0175 -0.9438
O -7.4272 -12.7747 1.2683
O -1.8765 -9.5463 1.9057
O 3.1601 -6.9007 0.9023
O 0.1553 -9.1266 -3.7780
O -4.7825 -9.2944 1.9002
O -7.7159 -11.5592 -2.3075
O 1.3789 -6.6349 -2.5466
O -1.2139 -7.6109 -0.5078
O -4.3875 -9.0818 -1.0334
O -9.7858 -11.3815 0.0584
O -7.2671 -9.9641 -0.0369
O -1.1742 -6.6016 -4.2228
O 1.7503 -4.1506 0.4383
O -3.6693 -6.5046 1.2807
O -7.1372 -8.7253 -2.6957
O -9.5149 -9.1532 1.8654
O -0.6800 -4.8911 -1.4213
O -3.2875 -6.3256 -1.8079
O -8.5950 -7.4351 -0.4636
O -11.1978 -8.6370 -0.4309
O -6.1613 -5.9918 -1.4365
O -0.9039 -3.5104 -4.2367
O -2.9628 -3.8232 0.0206
O -9.7750 -7.4820 -3.0690
O -6.4150 -5.1028 1.3888
```

=====

[2]
This record from the Materials Project describes a geometry-optimized BiOsSe structure. The functional is PBE-GGA.

As for the electronic total energy: -6.1820 eV per atom. The total energy after the MP2020 corrections is -76.07 eV for the cell shown. As for the formation enthalpy at 0 K: -135 meV per atom.

extended XYZ file:
```
12
Lattice="6.4970 0.0000 0.0000 0.0000 6.6252 0.0000 0.0000 2.6255 6.0935" Properties=species:S:1:pos:R:3 pbc="T T T"
Bi 4.1483 6.6666 2.3003
Bi 0.8998 1.2714 0.7464
Bi 2.3487 2.5842 3.7932
Bi 5.5972 7.9794 5.3471
Os 0.0850 5.4537 1.8500
Os 3.3335 2.4843 1.1967
Os 6.4120 3.7971 4.2435
Os 3.1635 6.7665 4.8968
Se 2.3651 4.7533 1.0881
Se 5.6136 3.1847 1.9586
Se 4.1319 4.4975 5.0053
Se 0.8834 6.0660 4.1349
```

=====

[3]
This record from the Materials Project describes a geometry-optimized Bi3P structure. The functional is PBE-GGA.

As for the electronic total energy: -3.8604 eV per atom. As for the formation enthalpy at 0 K: 410 meV per atom.

extended XYZ file:
```
8
Lattice="-6.9622 0.1756 -0.6765 3.1614 -5.8686 2.1275 -0.4421 1.5579 4.9545" Properties=species:S:1:pos:R:3 pbc="T T T"
Bi -5.4806 0.2615 3.5415
Bi -2.2593 0.1802 3.8545
Bi -4.0179 -2.4538 4.5259
Bi 1.2377 -4.3965 2.8639
Bi -1.9836 -4.3153 2.5508
Bi -0.2250 -1.6813 1.8795
P -3.6982 -1.4496 1.4967
P -0.5447 -2.6854 4.9086
```

~~~~~

No. 1
Material: LiEu3SiCl3O4
Method: DFT, PBE
State: optimized geometry

Cell: 7.0236 9.5180 13.6632 Å, 90.00 90.00 90.00°
Positions (direct):
Cl  0.6655  0.6827  0.1266
Cl  0.6655  0.3173  0.1266
Cl  0.6655  0.1827  0.3734
Cl  0.6655  0.8173  0.3734
Cl  0.3345  0.6827  0.8734
Cl  0.3345  0.1827  0.6266
Cl  0.3345  0.3173  0.8734
Cl  0.2019  0.5000  0.1048
Cl  0.7981  0.0000  0.6048
Cl  0.2019  0.0000  0.3952
Cl  0.7981  0.5000  0.8952
Cl  0.3345  0.8173  0.6266
O  0.2260  0.0000  0.9912
O  0.9123  0.8609  0.8510
O  0.0877  0.8609  0.1490
O  0.2260  0.5000  0.5088
O  0.7740  0.5000  0.4912
O  0.4226  0.0000  0.1596
O  0.0877  0.1391  0.1490
O  0.0877  0.3609  0.3510
O  0.0877  0.6391  0.3510
O  0.4226  0.5000  0.3404
O  0.9123  0.6391  0.6490
O  0.9123  0.3609  0.6490
O  0.9123  0.1391  0.8510
O  0.7740  0.0000  0.0088
O  0.5774  0.0000  0.8404
O  0.5774  0.5000  0.6596
Eu  0.3308  0.2500  0.2500
Eu  0.3308  0.7500  0.2500
Eu  0.0000  0.2601  0.0000
Eu  0.7767  0.0000  0.1894
Eu  0.6692  0.7500  0.7500

Result =
Bi -2.6200 -8.4754 -2.2302
Bi -5.5847 -7.4877 0.7435
Bi -9.2094 -9.6071 -1.4603
Bi -0.2682 -2.6308 -0.9829
Bi -4.8976 -5.3145 -3.1060
O -1.6129 -10.4100 -0.8030
O 1.3707 -8.9894 -0.7569
O -5.1938 -12.0175 -0.9438
O -7.4272 -12.7747 1.2683
O -1.8765 -9.5463 1.9057
O 3.1601 -6.9007 0.9023
O 0.1553 -9.1266 -3.7780
O -4.7825 -9.2944 1.9002
O -7.7159 -11.5592 -2.3075
O 1.3789 -6.6349 -2.5466
O -1.2139 -7.6109 -0.5078
O -4.3875 -9.0818 -1.0334
O -9.7858 -11.3815 0.0584
O -7.2671 -9.9641 -0.0369
O -1.1742 -6.6016 -4.2228
O 1.7503 -4.1506 0.4383
O -3.6693 -6.5046 1.2807
O -7.1372 -8.7253 -2.6957
O -9.5149 -9.1532 1.8654
O -0.6800 -4.8911 -1.4213
O -3.2875 -6.3256 -1.8079
O -8.5950 -7.4351 -0.4636
O -11.1978 -8.6370 -0.4309
O -6.1613 -5.9918 -1.4365
O -0.9039 -3.5104 -4.2367
O -2.9628 -3.8232 0.0206
O -9.7750 -7.4820 -3.0690
O -6.4150 -5.1028 1.3888
```

=====

[2]
This record from the Materials Project describes a geometry-optimized BiOsSe structure. The functional is PBE-GGA.

As for the electronic total energy: -6.1820 eV per atom. The total energy after the MP2020 corrections is -76.07 eV for the cell shown. As for the formation enthalpy at 0 K: -135 meV per atom.

extended XYZ file:
```
12
Lattice="6.4970 0.0000 0.0000 0.0000 6.6252 0.0000 0.0000 2.6255 6.0935" Properties=species:S:1:pos:R:3 pbc="T T T"
Bi 4.1483 6.6666 2.3003
Bi 0.8998 1.2714 0.7464
Bi 2.3487 2.5842 3.7932
Bi 5.5972 7.9794 5.3471
Os 0.0850 5.4537 1.8500
Os 3.3335 2.4843 1.1967
Os 6.4120 3.7971 4.2435
Os 3.1635 6.7665 4.8968
Se 2.3651 4.7533 1.0881
Se 5.6136 3.1847 1.9586
Se 4.1319 4.4975 5.0053
Se 0.8834 6.0660 4.1349
```

=====

[3]
This record from the Materials Project describes a geometry-optimized Bi3P structure. The functional is PBE-GGA.

As for the electronic total energy: -3.8604 eV per atom. As for the formation enthalpy at 0 K: 410 meV per atom.

extended XYZ file:
```
8
Lattice="-6.9622 0.1756 -0.6765 3.1614 -5.8686 2.1275 -0.4421 1.5579 4.9545" Properties=species:S:1:pos:R:3 pbc="T T T"
Bi -5.4806 0.2615 3.5415
Bi -2.2593 0.1802 3.8545
Bi -4.0179 -2.4538 4.5259
Bi 1.2377 -4.3965 2.8639
Bi -1.9836 -4.3153 2.5508
Bi -0.2250 -1.6813 1.8795
P -3.6982 -1.4496 1.4967
P -0.5447 -2.6854 4.9086
```

~~~~~

No. 1
Material: LiEu3SiCl3O4
Method: DFT, PBE
State: optimized geometry

Cell: 7.0236 9.5180 13.6632 Å, 90.00 90.00 90.00°
Positions (direct):
Cl  0.6655  0.6827  0.1266
Cl  0.6655  0.3173  0.1266
Cl  0.6655  0.1827  0.3734
Cl  0.6655  0.8173  0.3734
Cl  0.3345  0.6827  0.8734
Cl  0.3345  0.1827  0.6266
Cl  0.3345  0.3173  0.8734
Cl  0.2019  0.5000  0.1048
Cl  0.7981  0.0000  0.6048
Cl  0.2019  0.0000  0.3952
Cl  0.7981  0.5000  0.8952
Cl  0.3345  0.8173  0.6266
O  0.2260  0.0000  0.9912
O  0.9123  0.8609  0.8510
O  0.0877  0.8609  0.1490
O  0.2260  0.5000  0.5088
O  0.7740  0.5000  0.4912
O  0.4226  0.0000  0.1596
O  0.0877  0.1391  0.1490
O  0.0877  0.3609  0.3510
O  0.0877  0.6391  0.3510
O  0.4226  0.5000  0.3404
O  0.9123  0.6391  0.6490
O  0.9123  0.3609  0.6490
O  0.9123  0.1391  0.8510
O  0.7740  0.0000  0.0088
O  0.5774  0.0000  0.8404
O  0.5774  0.5000  0.6596
Eu  0.3308  0.2500  0.2500
Eu  0.3308  0.7500  0.2500
Eu  0.0000  0.2601  0.0000
Eu  0.7767  0.0000  0.1894
Eu  0.6692  0.7500  0.7500